What's better, synthetics or organics?



Help me settle a debate I was having with a friend!

This is a question specifically for the guerilla growers out there. While I appreciate the input of the back yard outdoor growers, I'm more interested in the opinions of folks who need to carry water/soil/nutes a ways in order to work their craft.

Do you prefer the simplicity and ease of using synthetic nutes for your guerilla grow, or do you prefer the extra challenge, better taste, and pride in using strictly organics? Why?

# Attached: calculated crystals
┌──
(P)
The following is a SCAN calculation of Mn2PbSe at its PBEsol-relaxed geometry, from Alexandria.

Cell lengths 4.729, 4.729, 4.729 Å; angles 122.36, 122.36, 85.95 degrees
Fractional coordinates of all 4 atoms:
Mn (0.250, 0.750, 0.500)
Mn (0.750, 0.250, 0.500)
Pb (0.000, 0.000, 0.000)
Se (0.500, 0.500, 0.000)

Computed properties:
**ρ**: 9.1 g/cm3
**Crystal system**: tetragonal

(Q)
The following is a SCAN calculation of Mn2PbSe at its PBEsol-relaxed geometry, from Alexandria.

Cell lengths 4.792, 4.792, 4.792 Å; angles 60.00, 60.00, 60.00 degrees
Fractional coordinates of all 4 atoms:
Mn (0.000, 0.000, 0.000)
Mn (0.250, 0.250, 0.250)
Pb (0.500, 0.500, 0.500)
Se (0.750, 0.750, 0.750)

Computed properties:
**ρ**: 8.5 g/cm3
**Crystal system**: cubic

What should be chosen as the most stable of them? Choose (P).

(P)
The following is a SCAN calculation of MnTcPb2 at its PBEsol-relaxed geometry, from Alexandria.

Cell lengths 4.732, 4.732, 4.732 Å; angles 60.00, 60.00, 60.00 degrees
Fractional coordinates of all 4 atoms:
Mn (0.000, 0.000, 0.000)
Tc (0.500, 0.500, 0.500)
Pb (0.250, 0.250, 0.250)
Pb (0.750, 0.750, 0.750)

Computed properties:
**ρ**: 12.6 g/cm3
**Crystal system**: cubic

(Q)
The following is a SCAN calculation of MnTcPb2 at its PBEsol-relaxed geometry, from Alexandria.

Cell lengths 3.531, 4.277, 5.151 Å; angles 90.00, 90.00, 90.00 degrees
Fractional coordinates of all 4 atoms:
Mn (0.000, 0.000, 0.000)
Tc (0.500, 0.000, 0.500)
Pb (0.000, 0.500, 0.500)
Pb (0.500, 0.500, 0.000)

Computed properties:
**ρ**: 12.1 g/cm3
**Crystal system**: orthorhombic

What should be chosen as the most stable of them? Choose (P).

(P)
The following is a SCAN calculation of MnTl2Pb at its PBEsol-relaxed geometry, from Alexandria.

Cell lengths 6.293, 6.293, 5.281 Å; angles 114.35, 114.35, 30.72 degrees
Fractional coordinates of all 4 atoms:
Mn (0.000, 0.000, 0.000)
Tl (0.283, 0.283, 0.783)
Tl (0.717, 0.717, 0.217)
Pb (0.500, 0.500, 0.500)

Computed properties:
**ρ**: 11.5 g/cm3
**Crystal system**: monoclinic

(Q)
The following is a SCAN calculation of MnTl2Pb at its PBEsol-relaxed geometry, from Alexandria.

Cell lengths 10.133, 10.133, 10.133 Å; angles 19.09, 19.09, 19.09 degrees
Fractional coordinates of all 4 atoms:
Mn (0.000, 0.000, 0.000)
Tl (0.261, 0.261, 0.261)
Tl (0.739, 0.739, 0.739)
Pb (0.500, 0.500, 0.500)

Computed properties:
**ρ**: 11.5 g/cm3
**Crystal system**: trigonal

What should be chosen as the most stable of them? Choose (P).

(P)
The following is a SCAN calculation of MnTl2Pb at its PBEsol-relaxed geometry, from Alexandria.

Cell lengths 3.329, 3.329, 8.749 Å; angles 90.00, 90.00, 90.21 degrees
Fractional coordinates of all 4 atoms:
Mn (0.000, 0.000, 0.000)
Tl (0.000, 0.000, 0.514)
Tl (0.500, 0.500, 0.801)
Pb (0.500, 0.500, 0.208)

Computed properties:
**ρ**: 11.5 g/cm3
**Crystal system**: orthorhombic

(Q)
The following is a SCAN calculation of MnTl2Pb at its PBEsol-relaxed geometry, from Alexandria.
└──
# Here the article continues

If synthetics, what type of nutes have you had the most success with?

If organics, what type of feeding regimen are you using?

=====
Here is a crystal of LiCr2W relaxed with PBEsol from Alexandria via LeMat-Bulk. Energies are from meta-GGA SCAN.

Geometry as extended XYZ:
```
4
Lattice="2.5053 0.0000 -0.0017 0.0000 4.1144 0.0000 -0.7995 0.0000 4.8659" Properties=species:S:1:pos:R:3 pbc="T T T"
Cr 2.4252 0.0000 0.0726
Cr 1.6442 2.0572 1.1603
Li 0.9602 0.0000 2.3980
W 0.0345 2.0572 3.6636
```

Summary:
E: -107.078 eV/cell

* * * * *

PBE Cu2ReW, optimized geometry; size of the total moment = 0.00 Bohr magnetons per cell; space group = P2/m (10); calculated formation energy = 0.339 eV per atom
1.0
4.681 0.000 0.000
0.000 2.676 0.000
-1.573 0.000 4.509
Cu Re W
2 1 1
Direct
0.000 0.000 0.000
0.500 0.500 0.000
0.000 0.500 0.500
0.500 0.000 0.500


PBE CuReW, optimized geometry; size of the total moment = 0.00 Bohr magnetons per cell; space group = Fmm2 (42); calculated formation energy = 0.314 eV per atom
1.0
0.000 2.176 6.494
1.568 0.000 6.494
1.568 2.176 0.000
Cu Re W
1 1 1
Direct
0.000 0.000 0.000
0.666 0.666 0.334
0.334 0.334 0.666
=====
(Back to the page)




Active Member

Help me settle a debate I was having with a friend!

This is a question specifically for the guerilla growers out there. While I appreciate the input of the back yard outdoor growers, I'm more interested in the opinions of folks who need to carry water/soil/nutes a ways in order to work their craft.

Do you prefer the simplicity and ease of using synthetic nutes for your guerilla grow, or do you prefer the extra challenge, better taste, and pride in using strictly organics? Why?

If synthetics, what type of nutes have you had the most success with?

If organics, what type of feeding regimen are you using?



hey man im on the hike every 2 days and we use strictly all organic..
1st we started out carrying a shovel and carrying in bagged soil which was Black earth top soil mixed with Composted manure and Peat moss stirred in with the natural brown dirt!
2nd we added seaweed as a mulch on a couple(side by side comparison) and as a liquid fertilizer on all (was 10 now 7 after males were pulled)
3rd we used blood meal and bone meal and bananas for our NPK seaweed for micro nutes and hormones and beneficial bacteria
4th also we used the liquid seaweed as a pesticide sprayed on the leaves at the same time as foliar feeding...

Thats our regimen in a nut shell we have to carry water in so we just add the liquid seaweed to the water and top dress with the bone meal and blood meal bananas are broken down in a bucket of water and fed as a liquid as well..

have never used synthetics outdoors never had much success indoors with it either lol always end up burning up or dying from defieciency or lock outs i find organic better because its harder to overdo with nutes and a natural process which is less work, the bacteria in the soil does all my feeding the plants i just feed them lol!!

Ps. The bacteria also love molasses as well for multiplying!!:weed:


hey man im on the hike every 2 days and we use strictly all organic..
1st we started out carrying a shovel and carrying in bagged soil which was Black earth top soil mixed with Composted manure and Peat moss stirred in with the natural brown dirt!
2nd we added seaweed as a mulch on a couple(side by side comparison) and as a liquid fertilizer on all (was 10 now 7 after males were pulled)
3rd we used blood meal and bone meal and bananas for our NPK seaweed for micro nutes and hormones and beneficial bacteria
4th also we used the liquid seaweed as a pesticide sprayed on the leaves at the same time as foliar feeding...

Thats our regimen in a nut shell we have to carry water in so we just add the liquid seaweed to the water and top dress with the bone meal and blood meal bananas are broken down in a bucket of water and fed as a liquid as well..

have never used synthetics outdoors never had much success indoors with it either lol always end up burning up or dying from defieciency or lock outs i find organic better because its harder to overdo with nutes and a natural process which is less work, the bacteria in the soil does all my feeding the plants i just feed them lol!!

Ps. The bacteria also love molasses as well for multiplying!!:weed:

Thats awesome and sounds very much familiar! I hope all your hard work pays off for you. I've seen issues using molasses in the compost teas. I think a thing to be very careful of is making sure the tea brews long enough to fully use up the sugars in the molasses. No amount of chicken wire will keep the ants out :). Also, I've seen issues with the sugar in the molasses causing soil to hydrolock (if that's the word for it) by basically bonding the top layer of the soil together.


Well-Known Member
i say you do a mix some good ol compost and good oraginc soil mix upped and a once a week feeding of some synthetics at low dose.

i like inhaling weed dont know about you guys but technically synthetics contain less impurity's than organics so you decide which the plant absorbs more toxins from....(the answer i neither because the plants cells dont thrive off things they cant convert)


Active Member
yes thats true but when i add molasses to a brew it starts to bubble for days and sometimes weeks especially with a fresh brew of seaweed,
once the bubbling stops i know its ready to use but the longer it soaks the stronger the mix gets.. havent had any real big problems yet hopefully not at all lol

never have ant problems here in the woods so thats a bonus for us see small black ants around town but not in the mountains where we are but thinking about the chicken wire for rabbits though had 1 plant get the side chewed off he never ate anything just chewed off the branch!!:fire: lol


i say you do a mix some good ol compost and good oraginc soil mix upped and a once a week feeding of some synthetics at low dose.

i like inhaling weed dont know about you guys but technically synthetics contain less impurity's than organics so you decide which the plant absorbs more toxins from....(the answer i neither because the plants cells dont thrive off things they cant convert)
Ive read a lot about heavy metals in organics from the manures and guanos. So your answer is a little of both? Politician, I like it!


yes thats true but when i add molasses to a brew it starts to bubble for days and sometimes weeks especially with a fresh brew of seaweed,
once the bubbling stops i know its ready to use but the longer it soaks the stronger the mix gets.. havent had any real big problems yet hopefully not at all lol

never have ant problems here in the woods so thats a bonus for us see small black ants around town but not in the mountains where we are but thinking about the chicken wire for rabbits though had 1 plant get the side chewed off he never ate anything just chewed off the branch!!:fire: lol
Im a big advocate of chix wire, it's a pain getting it out there, but once it's out there, it's out there. After the season is done, fold it flat, bury it in the brush, and let the snow cover it up! The longer it's out there, the rustier it gets which makes it almost invisible.


Well-Known Member
no point in not using whats available i like that its cheap when you combine and that you can also get all the benifits i also thing a synthetic is a synthetic so,long as i covers a broad nutrient spectrum, not all that A and B and micro shit i use Ionic, or anything else in that arena also why i advocate low dose cause they are never lacking.

i also use compost teas and topdress with all kind of shit. but i only use synthetic one every other week. and compost tea on the other weeks.

but oh well man you want the cleanest of the clean hydro and synthetic nutes all the way to a major flush at the end. me im more about the plant will do its thing, its evolved to soil and organics, so i utilize those in addition to synthetics.


Well-Known Member
Organic. I dont like inhaling chemicals into my lungs.
lol that is classic!

An organic chemical, is defined as being constructed of molecules that possess carbon-based atoms.Specifically, it is composed of carbon atoms attached to hydrogen atoms, together with a variety of other elements from functional groups, such as oxygen, nitrogen, sulfer, etc. Usually, an organic chemical is covalently bonded, meaning that electrons are shared between atoms. This characteristic is why organic chemicals can be structured in a variety of long chains and rings and form bonds with the great stability.


no point in not using whats available i like that its cheap when you combine and that you can also get all the benifits i also thing a synthetic is a synthetic so,long as i covers a broad nutrient spectrum, not all that A and B and micro shit i use Ionic, or anything else in that arena also why i advocate low dose cause they are never lacking.

i also use compost teas and topdress with all kind of shit. but i only use synthetic one every other week. and compost tea on the other weeks.

but oh well man you want the cleanest of the clean hydro and synthetic nutes all the way to a major flush at the end. me im more about the plant will do its thing, its evolved to soil and organics, so i utilize those in addition to synthetics.

Im thinking a similar plan will be used next year. I saw a serious N def this year trying to use solely organics in veg. I think a reasonable low dose slow release source of nitrogen would be a big help, but the guanos and seaweed extracts are just so good in flower to use anything else IMHO.


Active Member
i may try a boost of synthetic on a couple of the girls like poly says and compare the difference at harvest!!:idea:


Active Member
the organic versus chemical thing again.....in my opinion as i have grown both...the results from organic were only a little better...i think the plant doesnt care if the nitrogen is of an organic source....u see nitrogen is nitrogen ..doesnt matter were it came from...same goes with ALL the other majors and micros..one nitrogen is not better than the exzact same other nitrogen!!!!!...the organic had an edge as far as less watering...thats it thats all.....


Well-Known Member
yep me too im having to use a ton of N material just to keep the def away its pricier i will be getting some grow formula soon to combine with a high P tea in flower.